Last night on Saturday Night Live, there was that rare moment when a performer chose to give voice to the 200 million or so of us Americans who, for over two years, have been in a rage that the Supreme Leader in America (aka, the “Supreme Court,” that group of 5 or 6 religious right-wing nutters who rule over what women can and cannot do with their bodies in this country), overturned Roe v. Wade. 

The great Stevie Nicks, in her own rage over this injustice, sang for the first time live on national television her new song about those who have committed this atrocity against women. It’s called “The Lighthouse” — and my jaw dropped as she belted out one fiercely brutal lyric after another aimed squarely at the Court, at Trump, at MAGA Nation — and imploring all women to take a stand, to fight back now, it’s not too late. 

The audience at the end exploded with cheers and applause, so much so it felt like the roof was going to fly off the top of 30 Rock. It was a moment to behold and a reminder that DJT, the “Justices”, the Republicans, the Bishops and misogynists everywhere are just 23 days away from having their bigoted, hateful asses handed to them on a golden platter we still call “Democracy.”

On the night of June 24, 2022, I sat with friends commiserating over how a specific group of citizens were singled out to have their long-standing human rights REMOVED from them en masse. Millions upon millions were told, should you get pregnant, the Government will force you, for a full nine months, to bring that fertilized egg to term and birth that fetus against your will if necessary. It was not only heartbreaking that day two years ago, it was literally breathtaking in its scope and reach and cruelty wherein the minority gender (men, 49%) were once again ordering the majority gender (women, 51%) what they could and could not do. That system of government is called “apartheid” (see “Nelson Mandela,” see “Likud Party”), and what we now had confirmed by the Supreme Court was that the fascist principle of Gender Apartheid was still the law of the land.

Stevie Nicks, now a ferocious 76, said “I wrote this song after Roe v. Wade was overturned. It seemed like overnight, people were saying, ‘What can we, as a collective force, do about this’… This may be the most important thing I ever do. To stand up for the women of the United States and their daughters and granddaughters — and the men that love them. This is an anthem.”

That it is. I often wonder how things slip through the cracks and make it on network television, a system owned by a few multinational conglomerates whose interests don’t often line up with mine. I think they let me on for two reasons: 1) I make them money, and that is their primary reason for existence; and 2) Though some of them may disagree with me politically, they are not worried that those millions who see or read my works will ever seriously get off the couch and do anything about it. They are certain that the populace has been sufficiently distracted, dumbed down, or stupefyingly numbed to the horrors they must survive in their daily lives. The wealthy help us get by with opioids, with fear of foreclosure or abject hunger, always just one or two paychecks away from being tossed out onto the curb and that will be that. They’re convinced that you simply don’t have the time or energy or wits to fight them, let alone beat them. They are safe. They have spaceships! Here — watch another episode of The Real Housewives of Boise!

Of course what they don’t know is I’m convinced they are wrong, that you will indeed claim the rights you were endowed with: life, liberty and the pursuit of happiness. It’s self-evident, right?

### What comes next are calculated crystals, not part of the page
BaNaNdCl6: relaxed, GGA-PBE.

The structure in POSCAR format:
```
BaNaNdCl6
1.0
-5.0179 -4.6788 -2.2765
6.9647 -1.1164 -1.5808
1.4279 -6.9964 11.2321
Cl Na Ba Nd
12 2 2 2
Direct
0.6408 0.9904 0.8659
0.3592 0.0096 0.1341
0.6504 0.0096 0.3659
0.9904 0.6408 0.3659
0.3592 0.3496 0.3659
0.3496 0.3592 0.8659
0.9904 0.3496 0.1341
0.6504 0.6408 0.1341
0.6408 0.6504 0.6341
0.0096 0.6504 0.8659
0.3496 0.9904 0.6341
0.0096 0.3592 0.6341
0.6667 0.3333 0.7500
0.3333 0.6667 0.2500
0.0000 0.0000 0.5000
0.0000 0.0000 0.0000
0.6667 0.3333 0.2500
0.3333 0.6667 0.7500
```

Summary:
Its raw formation energy is -2.25 eV/atom. The total DFT energy (no corrections) comes out at -4.370 eV per atom. The density of states at the Fermi level is 0.0 states/eV per cell.


NaPd4Au8 | PBE-GGA | optimized geometry

Geometry as extended XYZ:
```
13
Lattice="2.856 1.649 9.040 -2.856 1.649 9.040 0.000 -3.298 9.040" Properties=species:S:1:pos:R:3 pbc="T T T"
Na 0.000 0.000 0.000
Pd -1.428 -0.824 9.040
Pd -1.428 0.824 18.080
Pd 0.000 1.649 9.040
Pd 0.000 0.000 13.560
Au -1.446 -0.835 15.692
Au 0.000 0.000 6.671
Au 0.000 -1.670 11.428
Au -1.446 0.835 11.428
Au 1.446 -0.835 15.692
Au 0.000 1.670 15.692
Au 0.000 0.000 20.449
Au 1.446 0.835 11.428
```

Results
raw total energy: -3.637 eV per atom
size of the total moment: 0.0 μB/cell
E_form: 79 meV per atom

So it was with a sudden sense of trepidation when, 40 minutes later as the SNL host was welcoming Stevie Nicks back to perform a second song, the show’s live feed suddenly went dead — literally just 3 seconds before Stevie was to start singing. The network put up a card on the screen for a full minute, then they began running a number of minutes of commercials, then they threw on a previously-taped skit and then a short film they clearly weren’t planning to show. Yup, I thought, somebody pulled the plug on Stevie. That call of hers in the previous song crossed the line. We don’t need another Sìnead O’Connor moment! But within 9 minutes or so there she was, back on the air live, singing one of her classic hits. All was well in land! After all, there was more shit to sell! Let’s remember why we are here!

Here is her performance of “The Lighthouse” from last night:

Let’s heed her call. Here are the groups working to pass ballot propositions supporting women’s reproductive rights on November 5th. Do something. 

MISSOURI: Vote YES on Amendment 3 (*to end the abortion ban)

Missourians for Constitutional Freedom

SOUTH DAKOTA: Vote YES on Freedom Amendment G (*to end the abortion ban)

Dakotans for Health

FLORIDA: Vote YES on Amendment 4

Floridians Protecting Freedom

MONTANA: Vote YES on CI-128

Montanans Securing Reproductive Rights


There are two competing ballot initiatives. One – Initiative 439 – ends Nebraska’s current abortion ban, the other continues the abortion ban. Whichever one gets more votes wins. 

Vote NO on Initiative 434 and VOTE YES ON INITIATIVE 439 (*to end the abortion ban)

Protect Our Rights

ARIZONA: Vote YES on Proposition 139

Arizona for Abortion Access:

NEVADA: Vote YES on Question 6

**These records of crystals were left in the text by mistake**
____________
# Li2SmAg2 | the Alexandria database | PBE | relaxed
# ΔH_f (0 K) in eV per atom: -0.195
# Total magnetization in μB per formula unit: 0.000
# VASP energy in eV for the cell shown: -15.2
# Calculated density in g/cm³: 6.0
# Distance to the lowest polymorph of the same formula in meV/atom: 0.0
data_Li2SmAg2
_chemical_formula_sum 'Li2 Sm1 Ag2'
_symmetry_space_group_name_H-M 'P 4/m m m'
_symmetry_Int_Tables_number 123
_symmetry_space_group_name_Hall '-P 4 2'
_cell_length_a 4.003
_cell_length_b 4.003
_cell_length_c 6.577
_cell_angle_alpha 90.00
_cell_angle_beta 90.00
_cell_angle_gamma 90.00
loop_
_atom_site_label
_atom_site_fract_x
_atom_site_fract_y
_atom_site_fract_z
Li1 0.000 0.500 0.000
Sm1 0.000 0.000 0.500
Ag1 0.500 0.500 0.282

---

# LiSm5Ag6 | the Alexandria database | PBE | relaxed
# ΔH_f (0 K) in eV per atom: -0.233
# Total magnetization in μB per formula unit: 0.000
# VASP energy in eV for the cell shown: -90.8
# Calculated density in g/cm³: 8.0
data_LiSm5Ag6
_chemical_formula_sum 'Li2 Sm10 Ag12'
_symmetry_space_group_name_H-M 'I m m m'
_symmetry_Int_Tables_number 71
_symmetry_space_group_name_Hall '-I 2 2'
_cell_length_a 5.176
_cell_length_b 7.301
_cell_length_c 15.518
_cell_angle_alpha 90.00
_cell_angle_beta 90.00
_cell_angle_gamma 90.00
loop_
_atom_site_label
_atom_site_fract_x
_atom_site_fract_y
_atom_site_fract_z
Li1 0.000 0.000 0.000
Sm1 0.000 0.000 0.334
Sm2 0.000 0.500 0.000
Sm3 0.000 0.500 0.333
Ag1 0.000 0.241 0.161
Ag2 0.000 0.260 0.500

---

# Li2Sm3Ag4 | the Alexandria database | PBE | relaxed
# ΔH_f (0 K) in eV per atom: -0.195
# Total magnetization in μB per formula unit: 0.000
# VASP energy in eV for the cell shown: -62.3
# Calculated density in g/cm³: 7.2
# Distance to the lowest polymorph of the same formula in meV/atom: 0.0
data_Li2Sm3Ag4
_chemical_formula_sum 'Li4 Sm6 Ag8'
_symmetry_space_group_name_H-M 'C 1 2/m 1'
_symmetry_Int_Tables_number 12
_cell_length_a 10.757
_cell_length_b 4.767
_cell_length_c 8.918
_cell_angle_alpha 90.00
_cell_angle_beta 116.08
_cell_angle_gamma 90.00
loop_
_symmetry_equiv_pos_as_xyz
'x,y,z'
'-x,-y,-z'
'-x,y,-z'
'x,-y,z'
'x+1/2,y+1/2,z'
'-x+1/2,-y+1/2,-z'
'-x+1/2,y+1/2,-z'
'x+1/2,-y+1/2,z'
loop_
_atom_site_label
_atom_site_fract_x
_atom_site_fract_y
_atom_site_fract_z
Li1 0.152 0.000 0.319
Sm1 0.000 0.500 0.000
Sm2 0.149 0.000 0.683
Ag1 0.077 0.500 0.399
Ag2 0.220 0.000 0.065

---

# Li3Sm2Ag4 | the Alexandria database | PBE | relaxed
# ΔH_f (0 K) in eV per atom: -0.183
# Total magnetization in μB per formula unit: 0.000
# VASP energy in eV for the cell shown: -112.9
# Calculated density in g/cm³: 6.7
data_Li3Sm2Ag4
_chemical_formula_sum 'Li12 Sm8 Ag16'
_symmetry_space_group_name_H-M 'C m c e'
_symmetry_Int_Tables_number 64
_symmetry_space_group_name_Hall '-C 2ac 2'
_cell_length_a 5.756
_cell_length_b 15.958
_cell_length_c 8.098
_cell_angle_alpha 90.00
_cell_angle_beta 90.00
_cell_angle_gamma 90.00
loop_
_atom_site_label
_atom_site_fract_x
_atom_site_fract_y
_atom_site_fract_z
____________

Nevadans for Reproductive Freedom

NEW YORK: Vote YES on Proposition 1 (a.k.a.: Prop 1, the New York Equal Rights Amendment)

New Yorkers for Equal Rights

COLORADO: Vote YES on Amendment 79

Coloradans for Reproductive Freedom:

MARYLAND: Vote YES on Question 1 Constitutional Amendment

Freedom in Reproduction Maryland


Let’s secure Reproductive Rights for ALL Americans by electing a Blue Wall — Kamala Harris AND a Blue Senate AND a Blue House. SwingLeft maps out the key states and races to help us do that — and ways you can help!:

Between two parts of the text: crystal structures
+++
No. 1
Here is an optimized crystal structure of Dy3HoEr4S8 from the Alexandria database. Energies are from GGA-PBE.

Geometry as extended XYZ:
```
16
Lattice="3.881 2.241 6.345 -3.881 2.241 6.345 0.000 -4.481 6.345" Properties=species:S:1:pos:R:3 pbc="T T T"
Dy -1.941 -1.120 6.345
Dy -1.941 1.120 12.690
Dy 0.000 2.241 6.345
Ho 0.000 0.000 0.000
Er -3.881 0.000 9.517
Er -1.941 1.120 3.172
Er 1.941 1.120 3.172
Er 0.000 0.000 9.517
S -1.946 -1.124 11.081
S 0.000 0.000 4.731
S 0.000 -2.247 7.954
S -1.946 1.124 7.954
S 1.946 -1.124 11.081
S 0.000 2.247 11.081
S 0.000 0.000 14.303
S 1.946 1.124 7.954
```

Results
As for the crystal system: trigonal. As for the total energy: -6.3207 eV/atom.

=====

No. 2
Here is an optimized crystal structure of DyHo4Er3S8 from the Alexandria database. Energies are from GGA-PBE.

Geometry as extended XYZ:
```
16
Lattice="3.879 2.240 6.337 -3.879 2.240 6.337 0.000 -4.480 6.337" Properties=species:S:1:pos:R:3 pbc="T T T"
Dy 0.000 0.000 0.000
Ho -3.879 0.000 9.505
Ho -1.940 1.120 3.168
Ho 1.940 1.120 3.168
Ho 0.000 0.000 9.505
Er -1.940 -1.120 6.337
Er -1.940 1.120 12.674
Er 0.000 2.240 6.337
S 0.000 0.000 4.766
S 0.000 -2.227 7.917
S -1.929 1.114 7.917
S -1.929 -1.114 11.094
S 1.929 1.114 7.917
S 1.929 -1.114 11.094
S 0.000 2.227 11.094
S 0.000 0.000 14.245
```

Results
As for the crystal system: trigonal. As for the total energy: -6.3157 eV/atom.

=====

No. 3
Here is an optimized crystal structure of Dy3Ho2ErS6 from the Alexandria database. Energies are from GGA-PBE.

Geometry as extended XYZ:
```
12
Lattice="3.360 -5.847 0.000 3.360 5.847 0.000 -2.246 0.000 6.355" Properties=species:S:1:pos:R:3 pbc="T T T"
Dy 0.000 0.000 0.000
Dy 3.360 1.958 0.000
Dy 3.360 -1.958 0.000
Ho 2.237 3.897 3.178
Ho 2.237 -3.897 3.178
Er 2.237 0.000 3.178
S 1.123 1.941 1.607
S 0.003 0.000 4.752
S 1.123 -1.941 1.607
S 3.351 1.941 4.748
S 4.470 0.000 1.603
S 3.351 -1.941 4.748
```

Results
As for the crystal system: monoclinic. As for the total energy: -6.3415 eV/atom.

=====

No. 4
Here is an optimized crystal structure of Dy2HoEr3S6 from the Alexandria database. Energies are from GGA-PBE.

Geometry as extended XYZ:
```
12
Lattice="8.450 -1.936 0.000 8.450 1.936 0.000 -1.821 0.000 7.574" Properties=species:S:1:pos:R:3 pbc="T T T"
Dy 2.212 0.000 2.528
Dy 12.868 0.000 5.046
Ho 8.450 0.000 0.000
Er 1.305 0.000 6.309
Er 7.540 0.000 3.787
Er 13.774 0.000 1.265
S -1.348 0.000 5.675
S 3.955 0.000 6.963
S 4.895 0.000 3.139
S 10.185 0.000 4.435
S 11.124 0.000 0.611
S 16.427 0.000 1.899
```

Results
As for the crystal system: monoclinic. As for the total energy: -6.3241 eV/atom.

=====

No. 5
Here is an optimized crystal structure of Dy3Ho4ErS8 from the Alexandria database. Energies are from GGA-PBE.

Geometry as extended XYZ:
```
16
Lattice="3.890 2.246 6.353 -3.890 2.246 6.353 0.000 -4.492 6.353" Properties=species:S:1:pos:R:3 pbc="T T T"
Dy -1.945 -1.123 6.353
Dy -1.945 1.123 12.706
Dy 0.000 2.246 6.353
Ho -3.890 0.000 9.530
Ho -1.945 1.123 3.177
+++

P.S. If you have another minute or two, here are two more brilliant moments from last night’s SNL episode:

Lyrics to Stevie Nicks’ “The Lighthouse”:

I have my scars, you have yours Don't let them take your power Don't leave it alone in the final hours They'll take your soul, they'll take your power Don't close your eyes and hope for the best The dark is out there, the light is going fast Until the final hours, your life's forever changed And all the rights that you had yesterday Are taken away And now you're afraid You should be afraid Should be afraid Because everything I fought for Long ago in a dream is gone Someone said the dream is not over The dream has just begun, or Is it a nightmare? Is it a lasting scar? It is unless you save it and that's that Unless you stand up and take it back And take it back I have my scars, you have yours Don't let them take your power Don't leave it alone in the final hours They'll take your soul, they'll take your power Unless you stand up and take it back Try to see the future and get mad It's slipping through your fingers, you don't have what you had You don't have much time to get it back I wanna be the lighthouse Bring all of you together Bring it out in a song Bring it out in stormy weather Tell them the story I wanna teach 'em to fight I wanna tell 'em this has happened before Don't let it happen again I have my scars, you have yours Don't let them take your power Don't leave it alone in the final hours They'll take your soul, they'll take your power Unless you save it and that's that Unless you stand up and take it back Try to see the future and get mad It's slippin' through your fingers, you don't have what you had You don't have much time You gotta get in the game You gotta learn how to play You gotta make a change You gotta do it today In the midnight hour, they'll slam the door Make you forget what you were fighting for Put you back in your place, they'll shut you down You better learn how to fight, you better say it out loud